Created by Adam Johnson, Harvey Mudd College, and posted on VIPEr( March 27, 2016. Copyright Adam Johnson, 2016. This work is licensed under the Creative Commons Attribution-NonCommercial-ShareAlike License. To view a copy of this license visit
IR stretches using reducible representations
You can use the principles of group theory to predict IR stretches. Since the CO stretch is usually so intense, it is easy to observe. Since the vibrational frequency of the CO stretch is so dependent on the electronic state of the molecule, understanding IR spectroscopy of metal carbonyls is very important. The technique that is used is “normal mode analysis.” Put a Cartesian axis system (displacement vectors) on each atom in the molecule. For a molecule n atoms, we expect 3n-6 degrees of freedom (3n-5 if linear). Subtract off translational and rotational degrees of freedom leaving vibrational modes.
• draw the molecule and put a Cartesian axis as a basis on each atom
• create a reducible representation for all motion
•apply the symmetry operations of the point group to the basis
•if a basis element moves from its position, it contributes 0
•if a basis element remains at its position, it contributes 1
•if a basis element is transformed into its negative, it contributes -1
•reduce the representation using the formula ; where h is the number of symmetry operations, =the character of the reducible representation, =the character of the irreducible representation, and =the number of operations in the class (the number in front of the symmetry operation).
The entry is interrupted by materials data:
-- begin --
Record 1
Simulated powder diffractogram of Zr3Cu2Bi for Cu Kα, 1.54184 Å, from a structure optimized by DFT (PBE).
Kinematic intensities with the Lorentz-polarization factor, no thermal factor.

Structure:
Unit cell a=6.0611 b=6.0611 c=4.1774 alpha=90.00 beta=90.00 gamma=120.00
Space group P6/mmm (No. 191)
Symmetry-distinct sites (fractional):
Zr  0.0000  0.5000  0.0000 [3 per cell]
Cu  0.3333  0.6667  0.5000 [2 per cell]
Bi  0.0000  0.0000  0.5000 [1 per cell]

Peak list (8 most intense, 10 to 80 degrees two-theta, in order of rising 2θ)
27.28°, rel. 59, (1 0 1)
29.47°, rel. 29, (1 1 0)
34.16°, rel. 54, (2 0 0)
36.63°, rel. 100, (1 1 1)
50.96°, rel. 22, (2 1 1)
56.29°, rel. 26, (2 0 2)
57.07°, rel. 27, (3 0 1)
61.16°, rel. 22, (2 2 0)

***

Record 2
Simulated powder diffractogram of NaGd3GeS7 for Cu Kα, 1.54184 Å, from a structure optimized by DFT (PBE).
Kinematic intensities with the Lorentz-polarization factor, no thermal factor.

Structure:
Unit cell a=10.0024 b=10.0024 c=5.8586 alpha=90.00 beta=90.00 gamma=120.00
Space group P6_3 (No. 173)
Symmetry-distinct sites (fractional):
Na  0.0000  0.0000  0.0000 [2 per cell]
Gd  0.1358  0.3621  0.2850 [6 per cell]
Ge  0.3333  0.6667  0.8657 [2 per cell]
S  0.0999  0.5801  0.0268 [6 per cell]
S  0.1017  0.2633  0.7453 [6 per cell]
S  0.3333  0.6667  0.4876 [2 per cell]

Peak list (8 most intense, 10 to 80 degrees two-theta, in order of rising 2θ)
20.51°, rel. 31, (2 0 0)
23.39°, rel. 25, (1 1 1)
25.58°, rel. 100, (2 0 1)
35.91°, rel. 40, (2 2 0)
37.05°, rel. 34, (2 0 2)
37.43°, rel. 26, (1 3 0)
40.59°, rel. 26, (3 1 1)
41.36°, rel. 25, (1 2 2)

***

Record 3
Simulated powder diffractogram of Lu7Co2Se2 for Cu Kα, 1.54184 Å, from a structure optimized by DFT (PBE).
Kinematic intensities with the Lorentz-polarization factor, no thermal factor.

Structure:
Unit cell a=3.7130 b=14.7547 c=9.0553 alpha=90.00 beta=90.00 gamma=90.00
Space group Imm2 (No. 44)
Symmetry-distinct sites (fractional):
Lu  0.0000  0.0000  0.0000 [2 per cell]
Lu  0.0000  0.1280  0.5835 [4 per cell]
Lu  0.0000  0.3146  0.3760 [4 per cell]
Lu  0.0000  0.3575  0.7358 [4 per cell]
Co  0.0000  0.2371  0.0722 [4 per cell]
Se  0.0000  0.0000  0.3402 [2 per cell]
Se  0.0000  0.5000  0.2390 [2 per cell]

Peak list (8 most intense, 10 to 80 degrees two-theta, in order of rising 2θ)
30.19°, rel. 48, (1 3 0)
31.75°, rel. 63, (1 1 2)
31.90°, rel. 31, (0 5 1)
34.88°, rel. 71, (0 3 3)
35.72°, rel. 100, (1 4 1)
36.23°, rel. 51, (1 3 2)
49.07°, rel. 29, (2 0 0)
61.61°, rel. 28, (2 3 3)

***

Record 4
Simulated powder diffractogram of DyEr2Co6Ni3 for Cu Kα, 1.54184 Å, from a structure optimized by DFT (PBE).
Kinematic intensities with the Lorentz-polarization factor, no thermal factor.

Structure:
Unit cell a=4.8836 b=4.8836 c=24.6392 alpha=90.00 beta=90.00 gamma=120.00
Space group R-3m (No. 166, hexagonal axes)
Symmetry-distinct sites (fractional):
Dy  0.0000  0.0000  0.0000 [3 per cell]
Er  0.0000  0.0000  0.1391 [6 per cell]
-- stop --
The materials data stop here:
•using the symmetry labels corresponding to the irreducible representations that make up the reducible representation, determine they symmetries for molecular motion.
•subtract away translation and rotation, leaving vibrational modes
This is best seen with an example…
Worked example I: H2O (C2v)
Let's reduce the representation. In C2v, h = 4.
N(A1) = (1/4)[(9*1*1)+(-1*1*1)+(3*1*1)+(1*1*1)]=3
To check, make sure that the sum of the N’s is 9, √
In C2v, translation along x, y, and z correspond to B1, B2 and A1 respectively
In C2v, rotation about x, y, and z correspond to B2, B1 and A2 respectively
Thus, vibrational modes are 2A1 + B1
IR active vibrational modes must change their dipole and correspond to the vectors x, y, and z. Thus, for water, we expect 3 IR active vibrational modes. The IR spectrum of water has three bands, 1(A1) = 3657 cm-1, 2(A1) = 1595 cm-1, and 3(B1) = 3756 cm-1.
Worked example II: Cr(CO)6 (Oh)
With 13 atoms, there are 39 degrees of freedom and 33 vibrational modes!
I will show how to reduce the representation for A1g; In Oh, h = 48.
N(A1g) = (1/48)[(39*1*1)+0+(-1*1*6)+(5*1*6)+(-5*1*3)+(-3*1*1)+(-1*1*6)+0+ (9*1*3)+5*1*6)]=2
The total representation is: 2 A1g + 2 Eg + 2 T1g + 2 T2g + 5 T1u + 2 T2u
Rotation in Oh has T1g symmetry, while translation has T1u symmetry, leaving the following vibrational modes: 2 A1g + 2 Eg + T1g + 2 T2g + 4 T1u + 2 T2u
The only IR active modes are T1u; we thus expect 4 peaks (each triply degenerate) in the IR spectrum of Cr(CO)6.
Raman active modes are those with “squared” terms (x2, z2, xy, xz, etc.); we thus expect 6 Raman peaks corresponding to 2 A1g, 2 Eg and 2 T2g.
Worked example II: Cr(CO)6 (Oh)
There must be an easier method…. And there is. Many of the modes we have identified do not correspond to CO stretching vibrations, the region of the IR spectrum between 1600-2150 cm-1, but instead are bends or torsions. What if we use as our basis a vector along each CO ligand. This simplifies the problem significantly!
this reduces to A1g + Eg + T1u
can you draw the stretches? Since they are all stretches now, we can!